**Input**
- - -
Record 1
C9H30O9 | wB97M-V/def2-TZVPD

The geometry in XYZ format:
```
48
Properties=species:S:1:pos:R:3:forces:R:3:mulliken_charge:R:1
O -0.079 -4.604 -1.927 0.21 0.07 0.56 -0.59
C -0.216 -3.380 -1.187 -1.26 -0.40 -0.51 -0.28
C -1.220 -2.464 -1.960 0.54 0.62 0.80 0.08
O -0.608 -1.941 -3.105 0.37 -0.56 -1.45 -0.59
H 0.365 -4.417 -2.757 -0.06 0.23 -0.10 0.33
H -0.558 -3.661 -0.191 -0.54 -0.13 -0.10 0.24
H 0.761 -2.952 -0.964 0.13 0.56 -0.54 0.24
H -1.596 -1.583 -1.440 0.12 -0.27 0.98 0.05
H -2.123 -2.979 -2.288 0.28 -0.49 0.17 0.24
H 0.203 -1.501 -2.841 0.10 0.31 0.11 0.45
O 1.996 2.713 -1.294 0.17 -0.17 -0.49 -0.46
C 2.916 1.700 -1.657 0.79 -2.20 0.86 -0.67
C 2.326 0.271 -1.386 -0.46 0.67 -0.32 -0.21
O 1.178 -0.043 -2.184 0.84 0.49 0.12 -0.58
H 2.462 3.550 -1.360 -0.22 0.24 0.04 0.25
H 3.378 1.766 -2.642 -0.80 0.26 -0.50 0.36
H 3.795 1.737 -1.013 0.10 0.15 0.46 0.38
H 2.043 0.168 -0.339 -0.02 0.33 0.23 -0.09
H 3.045 -0.531 -1.554 0.27 0.33 -0.29 0.49
H 0.612 0.729 -2.120 -0.55 0.00 -0.04 0.33
O -0.428 2.109 -0.185 -0.93 -0.66 0.17 -0.41
C -1.422 3.111 -0.194 0.13 1.45 1.50 -0.63
C -1.098 4.148 1.003 0.11 -0.83 -1.52 -0.36
O -0.103 5.015 0.470 -0.02 0.31 -0.22 -0.54
H 0.396 2.499 -0.486 0.51 0.20 -0.10 0.28
H -1.471 3.555 -1.188 0.39 0.77 0.17 0.42
H -2.442 2.735 -0.104 0.22 -0.73 0.56 0.45
H -0.644 3.652 1.861 -0.23 -0.73 -0.11 0.27
H -1.965 4.674 1.405 -0.26 0.22 -0.47 0.38
H 0.319 5.499 1.184 -0.02 0.04 0.06 0.30
C 3.244 -0.240 2.217 -0.17 -0.90 -0.34 -0.49
O 2.694 -1.595 2.181 0.33 1.56 0.06 -0.49
H 2.469 0.523 2.287 -0.21 -0.04 0.22 0.23
H 3.938 -0.161 3.055 0.09 0.20 -0.09 0.35
H 3.750 -0.044 1.272 0.19 -0.29 0.13 0.12
H 2.186 -1.618 2.995 -0.20 -0.50 0.04 0.29
C -0.750 -0.662 1.863 1.08 1.12 -0.72 -0.15
O -1.782 0.006 1.155 -0.58 -0.47 0.64 -0.59
H -0.750 -1.725 1.622 -0.17 0.06 0.37 0.19
H 0.185 -0.232 1.506 0.41 -0.40 -0.33 -0.23
H -0.690 -0.397 2.918 -0.73 -0.52 0.34 0.32
H -1.449 0.861 0.875 0.26 0.05 -0.28 0.28
C -3.968 -2.640 1.233 -1.02 -0.31 0.17 -0.65
O -3.621 -1.821 0.153 0.18 -0.21 0.02 -0.46
H -4.406 -3.557 0.839 0.37 -0.25 0.06 0.27
H -3.150 -2.836 1.927 0.24 -0.27 -0.16 0.24
H -4.768 -2.205 1.831 -0.15 0.31 0.19 0.28
H -2.950 -1.235 0.512 0.19 0.75 -0.34 0.36
```
Forces are in eV/Å.

Results
Structure (SMILES) ... OCCO.OCCO.OCCO.CO.CO.CO
Electronic energy ... -1037.93173 Ha
ΔE to the lowest compared entry with this formula, charge and spin ... 0.8649 eV
HOMO level ... -9.02 eV
Gap between HOMO and LUMO ... 9.11 eV



Record 2
C39H78Cl6O26 | wB97M-V/def2-TZVPD

The geometry in XYZ format:
```
149
Properties=species:S:1:pos:R:3:forces:R:3:mulliken_charge:R:1
C -1.576 -5.420 9.226 0.66 -1.10 -1.21 -1.07
C -1.084 -4.949 7.840 -0.06 -0.06 0.78 -0.26
O -1.482 -3.609 7.957 -0.78 4.39 -2.36 -0.20
C -1.588 -2.710 6.900 -0.33 -0.58 -3.48 0.65
O -1.659 -2.982 5.637 0.57 1.06 6.02 -0.60
O -1.679 -1.429 7.429 0.26 -4.10 0.71 -0.28
C -1.635 -0.294 6.633 -0.39 0.46 -1.08 -0.63
H -1.139 -4.774 9.987 -0.22 -0.11 -0.04 0.29
H -1.249 -6.449 9.369 -0.06 -0.06 0.29 0.39
H -2.666 -5.397 9.217 0.11 0.13 0.25 0.29
H -1.524 -5.437 6.971 -0.13 -0.07 0.14 0.32
H 0.002 -4.921 7.742 0.08 -0.47 0.04 0.28
H -2.135 -0.442 5.676 -0.06 -0.10 -0.02 0.33
H -0.599 -0.023 6.429 -0.04 0.28 0.19 0.26
H -2.196 0.435 7.217 0.41 0.31 -0.23 0.22
C -2.126 1.088 -0.132 1.73 0.52 0.84 -1.08
C -0.553 0.951 0.202 -1.54 -0.62 -1.55 -0.24
O 0.044 2.211 0.314 1.85 2.49 2.40 -0.23
C 1.199 2.373 1.086 2.39 -0.44 -1.69 0.61
O 2.043 1.478 1.296 -3.05 2.92 0.11 -0.56
O 1.403 3.771 1.265 -1.12 -2.26 -0.45 -0.25
C 2.544 4.310 1.932 1.16 -0.97 0.72 -0.66
H -2.335 1.908 -0.818 0.58 -0.01 -0.28 0.30
H -2.706 1.380 0.744 -0.07 -0.64 0.16 0.31
H -2.437 0.170 -0.632 -0.21 -0.03 0.45 0.34
H -0.159 0.535 -0.725 0.32 -0.51 0.21 0.22
H -0.272 0.335 1.057 -0.42 -0.13 -0.09 0.39
H 2.534 4.117 3.004 -0.63 0.21 0.13 0.29
H 2.676 5.376 1.747 -0.80 -0.13 -0.22 0.26
H 3.505 3.866 1.673 -0.20 -0.41 -0.75 0.30
C 3.228 3.646 12.218 0.88 -1.13 0.16 -1.15
- - -

**Assignment**
Your job: filter the lines further above: keep the lines with the word "entry".

**Here it is**
ΔE to the lowest compared entry with this formula, charge and spin ... 0.8649 eV